_Brief_
It remains to retype the listing underneath from the line with "0.0 kJ/mol" to the end with every line break kept.

_Source_
=====
A plane-wave DFT calculation with PBE-GGA was carried out for a relaxed structure of Y2Sn2F.

a = 6.841 Å, b = 6.841 Å, c = 5.102 Å
α = 90.00°, β = 90.00°, γ = 90.00°
Element x y z (fractional)
Y 0.171 0.329 0.000
Y 0.329 0.829 0.000
Y 0.671 0.171 0.000
Y 0.829 0.671 0.000
Sn 0.155 0.655 0.500
Sn 0.345 0.155 0.500
Sn 0.655 0.845 0.500
Sn 0.845 0.345 0.500
F 0.000 0.000 0.000
F 0.500 0.500 0.000

Results
For the formation energy from raw total energies, the calculation gives -1.35 eV per atom. As for the total energy: -5.908 eV per atom. As for the space group: P4/mbm.

* * * * *

Entry from Alexandria: a crystal of La2BeOs relaxed with PBEsol (meta-GGA SCAN).

Summary:
- E: -40.385 eV/atom
- Crystal system: cubic
- Formation enthalpy at 0 K: 226 meV per atom
- Volume: 78.2 Å³/f.u.
- Symmetry: No. 216
- Spin magnetization: 0.000 μB/cell

abc: 4.7993 4.7993 4.7993
angles: 60.00 60.00 60.00
Last column: nearest neighbours and their distance in Å.
Atoms (fractional coordinates):
La 0.2500 0.2500 0.2500  4 Be 2.94, 4 La 2.94
Be 0.5000 0.5000 0.5000  4 La 2.94, 4 Os 2.94
La 0.0000 0.0000 0.0000  4 La 2.94, 4 Os 2.94
Os 0.7500 0.7500 0.7500  4 Be 2.94, 4 La 2.94

* * * * *

Entry 1:
Computed, not measured: an optimized crystal structure of Pm7Sm4Dy at the GGA-PBE level of DFT.

Properties
* VASP energy: -4.72 eV/atom
* space-group type: P-1
* excess energy over the best structure of this formula in the dataset: 0.0 kJ/mol of atoms
* calculated formation energy: 0.009 eV/atom

a = 7.3237 Å, b = 6.3387 Å, c = 11.6435 Å
α = 79.56°, β = 50.99°, γ = 90.01°
Closest atoms and distances in Å follow each position.
Sites, in units of the cell vectors:
Pm 0.7502 0.5002 0.0001  3 Sm 3.60-3.62, 7 Pm 3.60-3.67, 2 Dy 3.66
Pm 0.2498 0.4998 0.9999  3 Sm 3.60-3.62, 7 Pm 3.60-3.67, 2 Dy 3.66
Pm 0.0820 0.2778 0.6682  5 Pm 3.60-3.66, 1 Dy 3.61, 6 Sm 3.63-3.67
Pm 0.9180 0.7222 0.3318  5 Pm 3.60-3.66, 1 Dy 3.61, 6 Sm 3.63-3.67
Pm 0.3329 0.7784 0.6671  1 Dy 3.61, 6 Pm 3.61-3.66, 5 Sm 3.63-3.66
Pm 0.5000 0.0000 0.0000  4 Sm 3.60-3.62, 6 Pm 3.61-3.66, 2 Dy 3.66
Pm 0.6671 0.2216 0.3329  1 Dy 3.61, 6 Pm 3.61-3.66, 5 Sm 3.63-3.66
Sm 0.4191 0.7224 0.3314  8 Pm 3.60-3.67, 1 Dy 3.60, 3 Sm 3.63-3.67
Sm 0.5809 0.2776 0.6686  8 Pm 3.60-3.67, 1 Dy 3.60, 3 Sm 3.63-3.67
Sm 0.8333 0.7772 0.6668  8 Pm 3.61-3.67, 4 Sm 3.62-3.67
Sm 0.1667 0.2228 0.3332  8 Pm 3.61-3.67, 4 Sm 3.62-3.67
Dy 0.0000 0.0000 0.0000  2 Sm 3.60, 10 Pm 3.61-3.66


Entry 2:
Computed, not measured: an optimized crystal structure of AlCd2Co at the GGA-PBE level of DFT.

Properties
* VASP energy: -2.91 eV/atom
* space-group type: Cmmm
* calculated formation energy: 0.262 eV/atom

a = 4.9373 Å, b = 4.9373 Å, c = 3.0122 Å
α = 90.00°, β = 90.00°, γ = 110.81°
Closest atoms and distances in Å follow each position.
Sites, in units of the cell vectors:
Co 0.5000 0.0000 0.5000  2 Al 2.80, 8 Cd 2.89, 2 Co 3.01
Al 0.0000 0.5000 0.5000  2 Co 2.80, 8 Cd 2.89, 2 Al 3.01
Cd 0.0000 0.0000 0.0000  4 Cd 2.80-3.01, 4 Co 2.89, 4 Al 2.89
Cd 0.5000 0.5000 0.0000  4 Cd 2.80-3.01, 4 Al 2.89, 4 Co 2.89


Entry 3:
Computed, not measured: an optimized crystal structure of Ca2PmCd6 at the GGA-PBE level of DFT.

Properties
* VASP energy: -1.92 eV/atom
* space-group type: C2/m
* calculated formation energy: -0.335 eV/atom

a = 3.5457 Å, b = 8.7308 Å, c = 8.7308 Å
α = 60.02°, β = 90.02°, γ = 90.02°
Closest atoms and distances in Å follow each position.
Sites, in units of the cell vectors:
Ca 0.0000 0.3333 0.3333  12 Cd 3.40-3.41, 2 Ca 3.55
Ca 0.0000 0.6667 0.6667  12 Cd 3.40-3.41, 2 Ca 3.55
Pm 0.0000 0.0000 0.0000  12 Cd 3.41-3.42, 2 Pm 3.55
Cd 0.4986 0.6659 0.9998  3 Cd 2.89-2.92
Cd 0.5014 0.0002 0.3341  3 Cd 2.89-2.92
Cd 0.5014 0.3341 0.0002  3 Cd 2.89-2.92
Cd 0.5000 0.6655 0.3345  3 Cd 2.89-2.92
Cd 0.4986 0.9998 0.6659  3 Cd 2.89-2.92
Cd 0.5000 0.3345 0.6655  3 Cd 2.89-2.92


Entry 4:
Computed, not measured: an optimized crystal structure of Nd3ErSe4 at the GGA-PBE level of DFT.

Properties
* VASP energy: -5.90 eV/atom
=====

_Result_
* excess energy over the best structure of this formula in the dataset: 0.0 kJ/mol of atoms
* calculated formation energy: 0.009 eV/atom

a = 7.3237 Å, b = 6.3387 Å, c = 11.6435 Å
α = 79.56°, β = 50.99°, γ = 90.01°
Closest atoms and distances in Å follow each position.
Sites, in units of the cell vectors:
Pm 0.7502 0.5002 0.0001  3 Sm 3.60-3.62, 7 Pm 3.60-3.67, 2 Dy 3.66
Pm 0.2498 0.4998 0.9999  3 Sm 3.60-3.62, 7 Pm 3.60-3.67, 2 Dy 3.66
Pm 0.0820 0.2778 0.6682  5 Pm 3.60-3.66, 1 Dy 3.61, 6 Sm 3.63-3.67
Pm 0.9180 0.7222 0.3318  5 Pm 3.60-3.66, 1 Dy 3.61, 6 Sm 3.63-3.67
Pm 0.3329 0.7784 0.6671  1 Dy 3.61, 6 Pm 3.61-3.66, 5 Sm 3.63-3.66
Pm 0.5000 0.0000 0.0000  4 Sm 3.60-3.62, 6 Pm 3.61-3.66, 2 Dy 3.66
Pm 0.6671 0.2216 0.3329  1 Dy 3.61, 6 Pm 3.61-3.66, 5 Sm 3.63-3.66
Sm 0.4191 0.7224 0.3314  8 Pm 3.60-3.67, 1 Dy 3.60, 3 Sm 3.63-3.67
Sm 0.5809 0.2776 0.6686  8 Pm 3.60-3.67, 1 Dy 3.60, 3 Sm 3.63-3.67
Sm 0.8333 0.7772 0.6668  8 Pm 3.61-3.67, 4 Sm 3.62-3.67
Sm 0.1667 0.2228 0.3332  8 Pm 3.61-3.67, 4 Sm 3.62-3.67
Dy 0.0000 0.0000 0.0000  2 Sm 3.60, 10 Pm 3.61-3.66


Entry 2:
Computed, not measured: an optimized crystal structure of AlCd2Co at the GGA-PBE level of DFT.

Properties
* VASP energy: -2.91 eV/atom
* space-group type: Cmmm
* calculated formation energy: 0.262 eV/atom

a = 4.9373 Å, b = 4.9373 Å, c = 3.0122 Å
α = 90.00°, β = 90.00°, γ = 110.81°
Closest atoms and distances in Å follow each position.
Sites, in units of the cell vectors:
Co 0.5000 0.0000 0.5000  2 Al 2.80, 8 Cd 2.89, 2 Co 3.01
Al 0.0000 0.5000 0.5000  2 Co 2.80, 8 Cd 2.89, 2 Al 3.01
Cd 0.0000 0.0000 0.0000  4 Cd 2.80-3.01, 4 Co 2.89, 4 Al 2.89
Cd 0.5000 0.5000 0.0000  4 Cd 2.80-3.01, 4 Al 2.89, 4 Co 2.89


Entry 3:
Computed, not measured: an optimized crystal structure of Ca2PmCd6 at the GGA-PBE level of DFT.

Properties
* VASP energy: -1.92 eV/atom
* space-group type: C2/m
* calculated formation energy: -0.335 eV/atom

a = 3.5457 Å, b = 8.7308 Å, c = 8.7308 Å
α = 60.02°, β = 90.02°, γ = 90.02°
Closest atoms and distances in Å follow each position.
Sites, in units of the cell vectors:
Ca 0.0000 0.3333 0.3333  12 Cd 3.40-3.41, 2 Ca 3.55
Ca 0.0000 0.6667 0.6667  12 Cd 3.40-3.41, 2 Ca 3.55
Pm 0.0000 0.0000 0.0000  12 Cd 3.41-3.42, 2 Pm 3.55
Cd 0.4986 0.6659 0.9998  3 Cd 2.89-2.92
Cd 0.5014 0.0002 0.3341  3 Cd 2.89-2.92
Cd 0.5014 0.3341 0.0002  3 Cd 2.89-2.92
Cd 0.5000 0.6655 0.3345  3 Cd 2.89-2.92
Cd 0.4986 0.9998 0.6659  3 Cd 2.89-2.92
Cd 0.5000 0.3345 0.6655  3 Cd 2.89-2.92


Entry 4:
Computed, not measured: an optimized crystal structure of Nd3ErSe4 at the GGA-PBE level of DFT.

Properties
* VASP energy: -5.90 eV/atom